To do.
It remains to reproduce all of the rows further below character by character.

Input.
~~~
Entry from Alexandria via LeMat-Bulk: crystalline PmNd3Pb2 at its relaxed geometry (GGA-PBE).

Cell: 7.6029 7.8388 9.2819 Å, 114.98 114.18 90.00°
Closest atoms and distances in Å follow each position.
Atoms (fractional coordinates):
Pm: 0.0000 0.5000 0.0000  2 Pb 3.22
Pm: 0.0000 0.0000 0.0000  2 Pb 3.22
Nd: 0.5000 0.2500 0.0000  4 Pb 3.21
Nd: 0.5000 0.7500 0.0000  4 Pb 3.21
Nd: 0.7890 0.0390 0.5779  4 Pb 3.26-3.28
Nd: 0.2110 0.4610 0.4221  4 Pb 3.26-3.28
Nd: 0.2110 0.9610 0.4221  4 Pb 3.26-3.28
Nd: 0.7890 0.5390 0.5779  4 Pb 3.26-3.28
Pb: 0.5412 0.3582 0.7164  6 Nd 3.21-3.28, 1 Pm 3.22
Pb: 0.8248 0.1418 0.2836  6 Nd 3.21-3.28, 1 Pm 3.22
Pb: 0.1752 0.8582 0.7164  6 Nd 3.21-3.28, 1 Pm 3.22
Pb: 0.4588 0.6418 0.2836  6 Nd 3.21-3.28, 1 Pm 3.22

Output
formation energy from the elements = -0.199 eV/atom
SG = No. 72
Fermi-level density of states = 17.331 states/eV/cell
ΔE to the lowest computed polymorph = 245 meV per atom
DFT total energy = -4.6105 eV per atom

Entry from Alexandria via LeMat-Bulk: crystalline AgRhBr2 at its relaxed geometry (GGA-PBE).

Cell: 3.9857 3.9857 6.9673 Å, 73.48 73.48 59.93°
Closest atoms and distances in Å follow each position.
Atoms (fractional coordinates):
Rh: 0.7500 0.7500 0.7500  6 Br 2.73-2.74
Br: 0.0097 0.0097 0.9740  3 Rh 2.73-2.74, 3 Ag 2.92-2.94
Br: 0.4903 0.4903 0.5260  3 Rh 2.73-2.74, 3 Ag 2.92-2.94
Ag: 0.2500 0.2500 0.2500  6 Br 2.92-2.94

Output
SG = No. 12
Fermi-level density of states = 1.133 states/eV/cell
ΔE to the lowest computed polymorph = 235 meV per atom
DFT total energy = -3.2317 eV per atom

Entry from Alexandria via LeMat-Bulk: crystalline HgTe3 at its relaxed geometry (GGA-PBE).

Cell: 4.5100 3.1733 9.0569 Å, 104.59 90.00 90.00°
Closest atoms and distances in Å follow each position.
Atoms (fractional coordinates):
Hg: 0.0000 0.0000 0.0000  4 Te 3.12, 2 Hg 3.17
Te: 0.5000 0.7195 0.7561  2 Hg 3.12, 4 Te 3.17-3.18
Te: 0.0000 0.5000 0.5000  6 Te 3.17-3.18
Te: 0.5000 0.2805 0.2439  2 Hg 3.12, 4 Te 3.17-3.18

Output
SG = No. 10
Fermi-level density of states = 1.500 states/eV/cell
DFT total energy = -2.3970 eV per atom

Entry from Alexandria via LeMat-Bulk: crystalline ReAg2BiIr at its relaxed geometry (GGA-PBE).

Cell: 5.0621 5.1664 5.0621 Å, 90.00 90.00 90.00°
Closest atoms and distances in Å follow each position.
Atoms (fractional coordinates):
Re: 0.0000 0.5000 0.0000  2 Bi 2.58
Ir: 0.5000 0.5000 0.5000  4 Re 3.58, 8 Ag 3.62
Bi: 0.0000 0.0000 0.0000  4 Ag 2.53, 2 Re 2.58
Ag: 0.0000 0.0000 0.5000  2 Bi 2.53
Ag: 0.5000 0.0000 0.0000  2 Bi 2.53

Output
formation energy from the elements = 2.313 eV/atom
SG = No. 123
Fermi-level density of states = 5.981 states/eV/cell
DFT total energy = -3.8650 eV per atom

Entry from Alexandria via LeMat-Bulk: crystalline Zr2TaGe at its relaxed geometry (GGA-PBE).

Cell: 7.8664 7.8664 6.1933 Å, 50.57 50.57 90.00°
Closest atoms and distances in Å follow each position.
Atoms (fractional coordinates):
Ge: 0.5000 0.5000 0.0000  4 Zr 2.71, 2 Ta 2.72
Ge: 0.2500 0.7500 0.5000  4 Zr 2.71, 2 Ta 2.72
Zr: 0.5953 0.1250 0.2500  2 Ge 2.71, 2 Zr 2.76, 2 Ta 3.03
Zr: 0.1547 0.6250 0.2500  2 Ge 2.71, 2 Zr 2.76, 2 Ta 3.03
Zr: 0.3750 0.4047 0.7500  2 Ge 2.71, 2 Zr 2.76, 2 Ta 3.03
Zr: 0.8750 0.8453 0.7500  2 Ge 2.71, 2 Zr 2.76, 2 Ta 3.03
Ta: 0.0000 0.0000 0.0000  2 Ge 2.72, 4 Zr 3.03
Ta: 0.7500 0.2500 0.5000  2 Ge 2.72, 4 Zr 3.03

Output
formation energy from the elements = 0.241 eV/atom
SG = No. 122
Fermi-level density of states = 6.513 states/eV/cell
DFT total energy = -8.1509 eV per atom

Entry from Alexandria via LeMat-Bulk: crystalline MgZrI at its relaxed geometry (GGA-PBE).

Cell: 3.8059 3.7975 12.1394 Å, 82.59 89.87 90.00°
Closest atoms and distances in Å follow each position.
Atoms (fractional coordinates):
Mg: 0.0157 0.0839 0.2065  5 Zr 3.09-3.12, 4 Mg 3.17, 1 I 3.27
Mg: 0.5166 0.6421 0.0672  4 I 3.13, 4 Mg 3.17, 1 Zr 3.20
Zr: 0.0138 0.9769 0.4660  4 I 3.12, 1 Mg 3.12, 4 Zr 3.13
Zr: 0.5148 0.5318 0.3332  5 Mg 3.09-3.20, 4 Zr 3.13, 1 I 3.18
~~~

Solution.
Entry from Alexandria via LeMat-Bulk: crystalline PmNd3Pb2 at its relaxed geometry (GGA-PBE).

Cell: 7.6029 7.8388 9.2819 Å, 114.98 114.18 90.00°
Closest atoms and distances in Å follow each position.
Atoms (fractional coordinates):
Pm: 0.0000 0.5000 0.0000  2 Pb 3.22
Pm: 0.0000 0.0000 0.0000  2 Pb 3.22
Nd: 0.5000 0.2500 0.0000  4 Pb 3.21
Nd: 0.5000 0.7500 0.0000  4 Pb 3.21
Nd: 0.7890 0.0390 0.5779  4 Pb 3.26-3.28
Nd: 0.2110 0.4610 0.4221  4 Pb 3.26-3.28
Nd: 0.2110 0.9610 0.4221  4 Pb 3.26-3.28
Nd: 0.7890 0.5390 0.5779  4 Pb 3.26-3.28
Pb: 0.5412 0.3582 0.7164  6 Nd 3.21-3.28, 1 Pm 3.22
Pb: 0.8248 0.1418 0.2836  6 Nd 3.21-3.28, 1 Pm 3.22
Pb: 0.1752 0.8582 0.7164  6 Nd 3.21-3.28, 1 Pm 3.22
Pb: 0.4588 0.6418 0.2836  6 Nd 3.21-3.28, 1 Pm 3.22

Output
formation energy from the elements = -0.199 eV/atom
SG = No. 72
Fermi-level density of states = 17.331 states/eV/cell
ΔE to the lowest computed polymorph = 245 meV per atom
DFT total energy = -4.6105 eV per atom

Entry from Alexandria via LeMat-Bulk: crystalline AgRhBr2 at its relaxed geometry (GGA-PBE).

Cell: 3.9857 3.9857 6.9673 Å, 73.48 73.48 59.93°
Closest atoms and distances in Å follow each position.
Atoms (fractional coordinates):
Rh: 0.7500 0.7500 0.7500  6 Br 2.73-2.74
Br: 0.0097 0.0097 0.9740  3 Rh 2.73-2.74, 3 Ag 2.92-2.94
Br: 0.4903 0.4903 0.5260  3 Rh 2.73-2.74, 3 Ag 2.92-2.94
Ag: 0.2500 0.2500 0.2500  6 Br 2.92-2.94

Output
SG = No. 12
Fermi-level density of states = 1.133 states/eV/cell
ΔE to the lowest computed polymorph = 235 meV per atom
DFT total energy = -3.2317 eV per atom

Entry from Alexandria via LeMat-Bulk: crystalline HgTe3 at its relaxed geometry (GGA-PBE).

Cell: 4.5100 3.1733 9.0569 Å, 104.59 90.00 90.00°
Closest atoms and distances in Å follow each position.
Atoms (fractional coordinates):
Hg: 0.0000 0.0000 0.0000  4 Te 3.12, 2 Hg 3.17
Te: 0.5000 0.7195 0.7561  2 Hg 3.12, 4 Te 3.17-3.18
Te: 0.0000 0.5000 0.5000  6 Te 3.17-3.18
Te: 0.5000 0.2805 0.2439  2 Hg 3.12, 4 Te 3.17-3.18

Output
SG = No. 10
Fermi-level density of states = 1.500 states/eV/cell
DFT total energy = -2.3970 eV per atom

Entry from Alexandria via LeMat-Bulk: crystalline ReAg2BiIr at its relaxed geometry (GGA-PBE).

Cell: 5.0621 5.1664 5.0621 Å, 90.00 90.00 90.00°
Closest atoms and distances in Å follow each position.
Atoms (fractional coordinates):
Re: 0.0000 0.5000 0.0000  2 Bi 2.58
Ir: 0.5000 0.5000 0.5000  4 Re 3.58, 8 Ag 3.62
Bi: 0.0000 0.0000 0.0000  4 Ag 2.53, 2 Re 2.58
Ag: 0.0000 0.0000 0.5000  2 Bi 2.53
Ag: 0.5000 0.0000 0.0000  2 Bi 2.53

Output
formation energy from the elements = 2.313 eV/atom
SG = No. 123
Fermi-level density of states = 5.981 states/eV/cell
DFT total energy = -3.8650 eV per atom

Entry from Alexandria via LeMat-Bulk: crystalline Zr2TaGe at its relaxed geometry (GGA-PBE).

Cell: 7.8664 7.8664 6.1933 Å, 50.57 50.57 90.00°
Closest atoms and distances in Å follow each position.
Atoms (fractional coordinates):
Ge: 0.5000 0.5000 0.0000  4 Zr 2.71, 2 Ta 2.72
Ge: 0.2500 0.7500 0.5000  4 Zr 2.71, 2 Ta 2.72
Zr: 0.5953 0.1250 0.2500  2 Ge 2.71, 2 Zr 2.76, 2 Ta 3.03
Zr: 0.1547 0.6250 0.2500  2 Ge 2.71, 2 Zr 2.76, 2 Ta 3.03
Zr: 0.3750 0.4047 0.7500  2 Ge 2.71, 2 Zr 2.76, 2 Ta 3.03
Zr: 0.8750 0.8453 0.7500  2 Ge 2.71, 2 Zr 2.76, 2 Ta 3.03
Ta: 0.0000 0.0000 0.0000  2 Ge 2.72, 4 Zr 3.03
Ta: 0.7500 0.2500 0.5000  2 Ge 2.72, 4 Zr 3.03

Output
formation energy from the elements = 0.241 eV/atom
SG = No. 122
Fermi-level density of states = 6.513 states/eV/cell
DFT total energy = -8.1509 eV per atom

Entry from Alexandria via LeMat-Bulk: crystalline MgZrI at its relaxed geometry (GGA-PBE).

Cell: 3.8059 3.7975 12.1394 Å, 82.59 89.87 90.00°
Closest atoms and distances in Å follow each position.
Atoms (fractional coordinates):
Mg: 0.0157 0.0839 0.2065  5 Zr 3.09-3.12, 4 Mg 3.17, 1 I 3.27
Mg: 0.5166 0.6421 0.0672  4 I 3.13, 4 Mg 3.17, 1 Zr 3.20
Zr: 0.0138 0.9769 0.4660  4 I 3.12, 1 Mg 3.12, 4 Zr 3.13
Zr: 0.5148 0.5318 0.3332  5 Mg 3.09-3.20, 4 Zr 3.13, 1 I 3.18